### Entries
- - -
[1]
# C5H8O4

C5H8O4 in the gas phase in a non-equilibrium geometry (ωB97M-V/def2-TZVPD, the OMol25 dataset).

The frontier orbital gap is 9.26 eV. Its LUMO energy is 0.59 eV. Its SMILES is OC[C@]1(O)CC=C(O)O1. Its HOMO energy is -8.7 eV. Its energy relative to the best compared isomer or geometry (same formula, charge and spin) is 254.3 kJ/mol. For the electronic energy, the calculation gives -13502.4478 eV. The spin multiplicity is 1.

```
17
C5H8O4 | the OMol25 dataset | ωB97M-V/def2-TZVPD
C 0.064 -1.238 0.657
C -0.704 -0.993 -1.486
H 1.407 1.128 -0.499
H -0.090 -2.963 -0.627
C -0.305 0.286 0.493
O -1.198 -1.129 -2.705
C -0.118 -1.863 -0.681
H 1.627 0.707 1.173
C 1.027 1.124 0.473
H -0.643 -1.661 1.385
H -1.352 -0.242 -3.276
O -1.162 0.654 1.516
O -0.905 0.420 -0.779
H 1.558 2.966 0.776
H 1.111 -1.298 1.120
H -1.044 1.613 1.646
O 0.726 2.488 0.814
```

***

[2]
# C28H29As2BrN2NiO3

A molecular structure, C28H29As2BrN2NiO3 (ωB97M-V/def2-TZVPD, the OMol25 dataset).

The frontier orbital gap (alpha / beta) is 6.41 / 6.74 eV. Its LUMO energy (alpha / beta) is -0.78 / -0.81 eV. Its HOMO energy (alpha / beta) is -7.2 / -7.6 eV. Its energy relative to the best compared isomer or geometry (same formula, charge and spin) is 4.2 kJ/mol. For the electronic energy, the calculation gives -271392.2837 eV. The spin multiplicity is 3.

```
66
C28H29As2BrN2NiO3 | the OMol25 dataset | ωB97M-V/def2-TZVPD
H 3.824 2.064 -1.557
C 1.589 -5.325 -0.604
H 3.338 4.336 2.367
C -2.081 -3.896 0.888
H 2.004 5.434 1.079
H 4.743 3.615 4.227
O -0.868 0.893 -1.052
C -3.672 2.940 -0.167
N -1.365 -1.627 0.150
C -2.518 2.517 -0.749
C 2.137 0.167 -0.952
C 3.867 1.658 4.339
H -1.311 -0.684 3.261
C 2.256 2.487 2.203
C -3.974 0.813 0.896
C -0.338 3.826 1.615
C 3.531 1.419 -2.389
C 1.564 -1.758 2.624
H 1.832 -6.381 -0.573
H -3.234 -1.593 1.046
H -1.086 3.069 1.839
N 0.961 -2.625 -0.641
C 4.008 2.934 3.819
H -4.039 3.941 -0.350
H -3.041 -3.554 1.251
H 3.419 2.002 -3.301
C -2.456 -1.029 0.527
C -1.975 1.207 -0.514
C 2.105 -3.053 -1.120
C 2.929 0.799 3.792
H 2.792 -2.291 -1.470
H -0.003 4.307 2.535
H -0.124 0.054 4.366
C -2.763 0.345 0.318
C 2.124 1.198 2.729
C 0.061 -3.522 -0.139
O 2.267 0.824 -2.155
C 3.206 3.338 2.763
H 4.309 0.665 -2.522
H 0.914 -2.552 2.254
H 2.554 -1.869 2.182
O 3.129 0.062 -0.255
C 0.344 -4.891 -0.075
H 3.412 -4.722 -1.544
As 1.181 3.029 0.643
As 0.814 -0.062 2.023
C 2.059 4.732 0.247
C -4.410 2.081 0.679
H -1.947 3.167 -1.400
H -0.804 4.565 0.964
H 1.543 5.159 -0.613
C 2.458 -4.423 -1.136
H -0.382 -6.828 0.558
H 3.100 4.566 -0.028
H -1.086 1.073 3.271
H -4.551 0.138 1.515
C -0.605 -5.771 0.502
Ni 0.343 -0.587 -0.427
H 1.621 -1.830 3.710
C -0.580 0.117 3.378
H 2.842 -0.200 4.206
H 4.489 1.326 5.160
C -1.186 -3.016 0.335
C -1.785 -5.275 0.978
H -2.514 -5.937 1.423
Br -6.017 2.706 1.467
```

***

[3]
# C2H10Si2

C2H10Si2 in the gas phase in a non-equilibrium geometry (ωB97M-V/def2-TZVPD, the OMol25 dataset).

The frontier orbital gap is 10.77 eV. Its LUMO energy is 0.54 eV. Its SMILES is C[SiH2][SiH2]C. Its HOMO energy is -10.2 eV. Its energy relative to the best compared isomer or geometry (same formula, charge and spin) is 57.0 kJ/mol. For the electronic energy, the calculation gives -17989.6781 eV. The spin multiplicity is 1.

```
14
C2H10Si2 | the OMol25 dataset | ωB97M-V/def2-TZVPD
C 1.813 -1.572 -1.393
Si 1.161 -0.111 -0.329
H -0.982 -0.068 2.325
H -1.661 2.618 0.781
H -2.721 1.394 0.115
Si -0.762 0.168 0.911
H 2.879 -1.727 -1.316
H 1.604 -1.410 -2.464
H 2.362 0.171 0.439
C -2.004 1.611 0.967
H -2.559 1.630 1.923
H 1.060 0.867 -1.464
H -1.594 -0.978 0.630
H 1.404 -2.594 -1.125
```

***

[4]
# HO5P

A molecular structure, HO5P in a non-equilibrium geometry (ωB97M-V/def2-TZVPD, the OMol25 dataset).
- - -

### Request
Echo the lines further up up to the one that holds "3.338 4.336", that line included.

### Written answer
[1]
# C5H8O4

C5H8O4 in the gas phase in a non-equilibrium geometry (ωB97M-V/def2-TZVPD, the OMol25 dataset).

The frontier orbital gap is 9.26 eV. Its LUMO energy is 0.59 eV. Its SMILES is OC[C@]1(O)CC=C(O)O1. Its HOMO energy is -8.7 eV. Its energy relative to the best compared isomer or geometry (same formula, charge and spin) is 254.3 kJ/mol. For the electronic energy, the calculation gives -13502.4478 eV. The spin multiplicity is 1.

```
17
C5H8O4 | the OMol25 dataset | ωB97M-V/def2-TZVPD
C 0.064 -1.238 0.657
C -0.704 -0.993 -1.486
H 1.407 1.128 -0.499
H -0.090 -2.963 -0.627
C -0.305 0.286 0.493
O -1.198 -1.129 -2.705
C -0.118 -1.863 -0.681
H 1.627 0.707 1.173
C 1.027 1.124 0.473
H -0.643 -1.661 1.385
H -1.352 -0.242 -3.276
O -1.162 0.654 1.516
O -0.905 0.420 -0.779
H 1.558 2.966 0.776
H 1.111 -1.298 1.120
H -1.044 1.613 1.646
O 0.726 2.488 0.814
```

***

[2]
# C28H29As2BrN2NiO3

A molecular structure, C28H29As2BrN2NiO3 (ωB97M-V/def2-TZVPD, the OMol25 dataset).

The frontier orbital gap (alpha / beta) is 6.41 / 6.74 eV. Its LUMO energy (alpha / beta) is -0.78 / -0.81 eV. Its HOMO energy (alpha / beta) is -7.2 / -7.6 eV. Its energy relative to the best compared isomer or geometry (same formula, charge and spin) is 4.2 kJ/mol. For the electronic energy, the calculation gives -271392.2837 eV. The spin multiplicity is 3.

```
66
C28H29As2BrN2NiO3 | the OMol25 dataset | ωB97M-V/def2-TZVPD
H 3.824 2.064 -1.557
C 1.589 -5.325 -0.604
H 3.338 4.336 2.367